
dìnɡ yì tiáo kuǎn
  • Defined Terms;definition clause
  1. 因此,法律文本中定义条款的设置,应在总结现有经验的基础上,由立法机关遵照统一的立法技术规范来完成。

    Therefore , the setting up of definition clause in law text should be based on the summary of current experience and led by legislative organs following the uniform legislative technical norms .

  2. 现行法律文本中,定义条款设置中存在的问题多是在立法过程中长期积累形成的,主要表现为定义条款及其规定内容在法律文本中的位置和表述方式的不统一。

    Long term accumulation in legislation caused many problems in setting up of definition clause . the main performance of which is the non-unity between location and way of expression of definitive clause and its contents .

  3. 第一节对公约草案的关键性定义条款做了界定,包括飞行中、第三方以及运营人。

    Section 1 defines some critical terms of the Draft Convention , including " in flight ", " third party " and " operator " .

  4. 定义条款的设置对明确相关术语的含义,正确理解法律,提高法律适用的准确性,保障法律的有效实施都具有重要意义。

    The setting up of definition clause has profound influences on clarifying meaning of relative legalism and correctly understanding the law , so as to upgrading the accuracy of applying and effectively enforcing the law .

  5. 然而在我国现行立法实践中,定义条款的设置却存在着诸多问题,具体表现在法律规范对法律文本中定义条款如何进行设置,缺乏明确而具体的法律依据和相关具体规范。

    However , in the current legislative practice , problems exist in the process of the setting up of definition clause , i.e. there is no clear and specific legal basis and relative regulations on how to set up definition clause in legal text .

  6. 定义条款作为规范法律文本的重要组成部分,出现在法律文本的总则、分则、附则中,是明确特定概念术语的含义和确定法律法规的适用范围的法律条款。

    As the essential part of normative law text , definitive clause , existing in the general , special and supplementary provisions , is the kind of legal terms which clearly defines the connotation of special legalism and scope of application of the laws and regulations .

Calculated molecules, kept here for reference
/*
The following is a quantum chemistry calculation of a molecular structure, C25H20CdCl3NO3Si, from the OMol25 dataset.

```
54
Properties=species:S:1:pos:R:3:forces:R:3:nbo_charge:R:1
Cd 0.224586 1.181366 0.342686 -1.003 1.134 1.061 1.55
C -0.310677 -5.534739 2.053682 0.241 0.130 0.133 -0.26
O 1.036342 -5.308813 1.614405 -0.463 -0.053 0.004 -0.51
C 1.428058 -4.026820 1.381491 0.055 0.871 -0.586 0.36
C 2.826071 -3.869635 1.235089 -0.180 2.703 0.182 -0.38
C 3.367836 -2.570132 1.156537 0.286 -1.102 -0.155 -0.11
C 2.588756 -1.400898 1.098577 -1.433 0.050 0.015 -0.37
C 3.103775 -0.027217 0.932860 0.104 -0.466 1.532 0.59
C 4.629144 -0.003023 0.862350 0.018 -0.063 -1.713 -0.71
O 2.450088 1.041231 0.951431 1.589 -1.797 -0.538 -0.65
C 1.155967 -1.618339 1.311757 -0.064 1.767 -0.007 0.55
O 0.387959 -0.632949 1.599021 0.028 -0.389 -0.506 -0.82
C 0.588668 -2.909264 1.287843 2.147 -1.923 0.699 -0.44
H -0.322432 -6.563639 2.443632 -0.039 0.384 -0.172 0.18
H -1.031650 -5.446739 1.224275 0.230 0.107 0.318 0.18
H -0.558951 -4.830373 2.866310 -0.120 -0.299 -0.377 0.20
H 3.491864 -4.671641 1.314175 0.668 -1.245 0.148 0.20
H 4.469854 -2.519141 1.209333 -0.656 0.050 -0.314 0.19
H 4.911976 -0.654157 -0.011109 -0.098 1.029 0.388 0.22
H 5.161195 -0.491360 1.652625 -0.196 -0.204 0.966 0.22
H 5.003668 1.013701 0.783317 -0.050 0.028 -0.295 0.23
H -0.415748 -3.018796 1.550335 -1.566 0.164 0.073 0.23
Cl 0.957364 2.739225 3.619312 0.450 0.409 1.184 -0.47
Si 0.706718 3.638939 1.758517 -2.285 -3.044 -1.642 0.61
Cl 2.354005 4.555691 1.070805 1.889 1.577 -0.026 -0.45
Cl -0.844498 5.059937 1.996493 0.134 0.679 0.396 -0.48
C -0.486773 1.547215 -1.620484 1.256 1.656 -4.136 -0.56
C -0.349762 2.205946 -2.690836 -0.041 -2.004 4.328 -0.14
C -0.068421 2.894449 -3.869851 -0.623 -0.304 -2.850 -0.12
C 0.021131 2.082435 -5.064624 -0.122 -1.082 1.980 -0.18
C 0.089627 2.625449 -6.305485 0.081 0.834 -0.914 -0.23
C 0.136729 4.027337 -6.458241 -1.019 -0.433 1.021 -0.26
C -0.022216 4.841862 -5.327551 1.545 1.185 0.673 -0.22
C -0.044473 4.297917 -4.042892 0.451 -1.519 0.863 -0.22
H 0.029684 0.966208 -4.912812 -0.162 1.339 -0.211 0.22
H 0.049106 1.975712 -7.189505 0.294 0.318 0.327 0.20
H 0.159523 4.402826 -7.450417 0.095 0.619 -0.635 0.19
H 0.113861 5.962392 -5.290104 -0.388 -1.262 -0.817 0.20
H 0.112531 4.811743 -3.078882 -0.635 0.438 -0.883 0.23
C -2.307848 1.879036 0.677137 -0.734 -0.443 1.211 -0.73
C -2.806261 0.698954 1.244454 0.404 0.905 -1.319 -0.02
C -2.970218 -0.475131 0.400821 0.000 0.219 -0.499 -0.29
C -3.346625 -1.640500 0.973386 0.821 -1.034 -0.329 -0.15
C -3.549339 -1.722283 2.364155 -0.716 -1.081 1.518 -0.37
C -3.650511 -0.575661 3.200439 2.063 0.956 -2.053 -0.15
C -3.184136 0.603727 2.615418 -1.574 -0.826 1.774 -0.28
C -3.600281 -3.005861 2.962287 -1.482 -1.629 0.293 0.33
N -3.809919 -4.079687 3.396664 0.806 1.456 -0.455 -0.51
H -2.236017 2.766746 1.319609 -0.148 -0.310 -0.545 0.20
H -2.422509 1.960260 -0.391436 0.265 0.359 0.046 0.21
*/
The page goes on

  7. 法律文本中经常使用一些日常用语、技术用语,而对这些词语的准确理解,直接关系到法律的适用和遵守,因此,立法者在法律文本中都以定义条款的方式来界定特定词语的含义。

    Daily expressions and technical terms are used frequently in legal text . Properly understanding of these words has a clear bearing on the application and conformity of law . Therefore , legislators adopt definition clause to define the meaning of specific words in legal text .

-- Unrelated to this page: calculated molecules --
/*
This record from the Open Molecules 2025 dataset describes one molecule with the formula C24H32N6O2. The level of theory is wB97M-V/def2-TZVPD.

The geometry in ORCA input format:
```
! RIJCOSX wB97M-V def2-TZVPD def2/J DEFGRID3
* xyz 0 1
C -5.2409 3.9061 -3.3383
H -5.8775 3.1425 -2.8788
O -3.8835 3.7011 -3.0238
C -3.3908 2.4578 -3.4763
C -3.8830 1.2722 -2.6708
C -3.9809 0.0189 -3.2593
C -4.3405 -1.0780 -2.4970
C -4.6067 -0.9313 -1.1458
C -4.5108 0.3176 -0.5559
C -4.1418 1.4149 -1.3133
H -4.0583 2.3905 -0.8557
H -4.7139 0.4376 0.4980
H -4.8860 -1.7890 -0.5525
H -4.4115 -2.0511 -2.9593
H -3.7604 -0.0949 -4.3099
C -1.8692 2.3943 -3.2864
O -1.1744 1.6234 -3.9064
N -1.4370 3.2028 -2.2913
C -0.1272 3.1952 -1.8038
C 0.8462 4.1730 -1.8334
C 1.9341 3.5888 -1.1787
N 1.6466 2.3645 -0.7827
N 0.3944 2.1247 -1.1534
C -0.2882 0.8817 -0.8647
C 0.1836 -0.2521 -1.7791
C 1.5759 -0.7306 -1.3886
N 1.5601 -1.2058 -0.0165
C 1.2710 -0.1006 0.8813
C -0.1177 0.4634 0.5982
H -0.8609 -0.3075 0.8074
H -0.3042 1.3153 1.2548
H 1.2991 -0.4781 1.9068
H 2.0189 0.7020 0.7780
C 2.8029 -1.8681 0.3410
C 2.6960 -2.5324 1.6724
C 3.5486 -2.4326 2.7511
N 3.0480 -3.2142 3.7303
N 1.9209 -3.8075 3.3517
C 1.6925 -3.4111 2.1150
H 0.8287 -3.7498 1.5803
C 3.5849 -3.4497 5.0494
C 4.9570 -4.1161 4.9579
H 4.8936 -5.0279 4.3689
H 5.3153 -4.3678 5.9524
H 5.6766 -3.4491 4.4889
C 3.6455 -2.1456 5.8438
H 3.9680 -2.3455 6.8620
H 4.3476 -1.4513 5.3883
H 2.6646 -1.6774 5.8743
H 2.8758 -4.1358 5.5248
H 4.4541 -1.8729 2.8715
H 3.6572 -1.1651 0.3505
H 3.0010 -2.6279 -0.4236
H 1.8660 -1.5592 -2.0400
H 2.3017 0.0895 -1.5226
H 0.1713 0.0862 -2.8156
H -0.5199 -1.0793 -1.6756
H -1.3511 1.0717 -1.0575
H 2.9025 4.0057 -0.9860
H 0.7765 5.1485 -2.2675
H -2.0742 3.9228 -1.9788
H -3.6163 2.3127 -4.5425
H -5.3976 3.8939 -4.4230
H -5.5026 4.8863 -2.9447
*
```

Properties
HOMO-LUMO gap ... 8.81 eV
Energy above the lowest of the compared OMol25 structures with the same formula, charge and spin ... 2.8715 eV
Structure (SMILES) ... CO[C@@H](C(=O)Nc1ccnn1C1CCN(Cc2cnn(C(C)C)c2)CC1)c1ccccc1
*/
-- End of the calculated molecules --

  8. 因此,立法者在运用立法技术设置定义条款的过程中,既要满足立法政策的表达,又要保证法律信息能够被法律接受者准确接收,最终实现定义条款的规范设置。

    Hence , in the process of setting up definition clause by performing legislative technology , legislators have to satisfy both the expression of legislative policy and the needs of accurately taking the legal information by receivers , which will ultimately realize the normative setting up of definition clause .

  9. 本文就其第一条“适用范围”、第二条“责任”、第三条“定义”部分条款作了初步探讨。

    This paper makes an inquiry into Rules No.1-Application , No.2-Responsibility , and No.3-Generai Definitions .

  10. 它也禁止汇率操纵,但这个术语从未得到过一致的定义,相关条款成为一纸空文。

    It also forbade exchange rate manipulation but the term was never coherently defined and the relevant provision became a dead letter .

  11. 由于缺乏明确的定义,征用条款为起诉和法律解释都提供了充分的回旋余地。

    Because of the lack of clear doctrines , the taking clause has provided a fruitful ground for litigation and legal commentary .

  12. 例如,现行的蒙中双边贸易协定没有定义与适用范围条款。

    For example , in the existing agreement has not definition and scope of application provisions .